When it comes to school turnaround work, Sharon Griffin has established herself as an authority in Memphis — and increasingly across the nation.
As regional superintendent of Shelby County Schools’ Innovation Zone, Griffin has shepherded improvement work in a cluster of struggling schools since the district launched its turnaround initiative in 2012 under a new state law. Overall, the iZone’s test score gains have outpaced other turnaround models. The program has become a bright spot for the beleaguered district and will absorb four more schools next year for a total of 22.
A former teacher and principal, the charismatic Griffin, 47, was named Tennessee’s 2015 supervisor of the year. As the iZone’s chief ambassador, she spoke recently with Chalkbeat about the challenges of urban education, the importance of coaching and supporting principals and teachers, school turnaround strategies that work, and her thoughts on the other school turnaround initiative in Memphis, the state-run Achievement School District.
Here are the highlights:
The iZone has become the jewel of Shelby County Schools by taking some of the worst schools in the state and changing their trajectory in a timely manner. If you had to sum it up, what’s at the root of the iZone’s approach?
Well, first I have to say it’s attitude. You got to believe. And if you don’t believe it’s possible, chances are you’re probably right. I have an unwavering belief that this is possible.
Second, we focus on building relationships, not just with district-level people, but also principal to teacher, teacher to teacher, teacher to student, and student to student. The principal should be able to leave a school because teacher-to-teacher relationships are strong. We have students that lead other students and are self-directed enough to take what they learn home. These relationships trickle down to the community and the stakeholders that are also a part of helping us turn the school around. When you build trust and relationships, you present a united front, and that helps us to overcome poverty, crime, other external factors. It all happens from trust and building relationships.
To get more specific, what do you view as the key ingredients to a successful turnaround model?
Without a doubt, strong leadership. We spend a lot of time and energy making sure we have the right leaders to lead our schools. Have you ever seen the TV show “Criminal Minds”? Before they even look for a perpetrator, they create a profile of the perpetrator’s characteristics based on a crime scene. Before we pick principals, we look at the needs of that school. If it’s a building that’s aesthetically displeasing, then I need to make sure I put a principal there who has the skills to address that. If there’s a literacy or math deficit, we need leaders who are experts in literacy or math. If it’s suffering from poor climate and culture around building relationships, then I know I can’t put a dictator principal there.
Second, when we select principals, we empower them to pick every single staff member. My expectation is I don’t want to just play; I want to win. And if I’m going to hold that much responsibility and accountability on principals, I’ve got to give them the chance to choose their own team and pick every single teacher. The flipside is that, if a teacher decides the iZone model is not for them or they can’t commit the extra time, then we have a “mutual consent” agreement so the teacher can get out of it as well.
"Sometimes you need a person to support teachers without evaluating them."
Third, we have content coaches in literacy, math and science to work with our teachers. Sometimes you need a person to support teachers without evaluating them. It’s not going to be punitive. Sometimes, you just really need a shoulder to cry on. But we don’t stop there. Our content coaches can say, ‘Let me show you how to fix it. Let me show you how to get it right.’
Attached: data records:
<<<
Below is an optimized crystal structure of TaS2, with properties calculated at the PBE level.

## Properties
Formation enthalpy at 0 K, eV/atom: -1.3814

abc: 3.345 3.345 17.691
angles: 90.00 90.00 120.00
Element x y z (fractional)
1 S 0.000 0.000 0.338
2 S 0.000 0.000 0.662
3 S 0.000 0.000 0.162
4 S 0.000 0.000 0.838
5 Ta 0.667 0.333 0.250
6 Ta 0.333 0.667 0.750


Version w
# Na9W13O39

A relaxed structure of Na9W13O39 (PBE+U, the Materials Project database).

Results
mass density = 6.7 g cm⁻³

abc: 11.8515 11.8515 13.1066
angles: 72.47 72.47 27.18
Fractional coordinates of all 61 atoms:
Na1 0.6538 0.6538 0.9608
Na2 0.8835 0.8835 0.6551
Na3 0.0381 0.0381 0.1153
Na4 0.1922 0.1922 0.5785
Na5 0.9619 0.9619 0.8847
Na6 0.1165 0.1165 0.3449
Na7 0.3462 0.3462 0.0392
Na8 0.5000 0.5000 0.5000
Na9 0.8078 0.8078 0.4215
O1 0.5372 0.0416 0.6135
O2 0.2724 0.7732 0.3079
O3 0.4154 0.9270 0.7723
O4 0.8474 0.8474 0.0351
O5 0.1826 0.7002 0.0766
O6 0.9270 0.4154 0.7723
O7 0.7002 0.1826 0.0766
O8 0.4628 0.9584 0.3865
O9 0.6917 0.6917 0.5713
O10 0.2998 0.8174 0.9234
O11 0.5846 0.0730 0.2277
O12 0.8174 0.2998 0.9234
O13 0.1526 0.1526 0.9649
O14 0.9237 0.9237 0.2717
O15 0.8476 0.3473 0.5313
O16 0.0730 0.5846 0.2277
O17 0.9584 0.4628 0.3865
O18 0.6527 0.1524 0.4687
O19 0.0000 0.5000 0.0000
O20 0.7732 0.2724 0.3079
O21 0.5000 0.0000 0.0000
O22 0.8845 0.3828 0.1528
O23 0.3083 0.3083 0.4287
O24 0.3828 0.8845 0.1528
O25 0.2290 0.2290 0.1871
O26 0.6172 0.1155 0.8472
O27 0.1155 0.6172 0.8472
O28 0.7276 0.2268 0.6921
O29 0.0416 0.5372 0.6135
O30 0.0000 0.0000 0.5000
O31 0.0763 0.0763 0.7283
O32 0.3851 0.3851 0.6543
O33 0.5413 0.5413 0.1188
O34 0.3473 0.8476 0.5313
O35 0.1524 0.6527 0.4687
O36 0.6149 0.6149 0.3457
O37 0.2268 0.7276 0.6921
O38 0.4587 0.4587 0.8812
O39 0.7710 0.7710 0.8129
W1 0.4228 0.4228 0.7701
W2 0.7300 0.7300 0.6949
W3 0.3448 0.3448 0.5385
W4 0.1163 0.1163 0.8468
W5 0.5000 0.5000 0.0000
W6 0.0392 0.0392 0.6168
W7 0.9608 0.9608 0.3832
W8 0.8058 0.8058 0.9226
W9 0.5772 0.5772 0.2299
W10 0.8837 0.8837 0.1532
W11 0.6552 0.6552 0.4615
W12 0.2700 0.2700 0.3051
W13 0.1942 0.1942 0.0774

---

Version x
# Na9W13O39

A relaxed structure of Na9W13O39 (PBE+U, the Materials Project database).

Results
mass density = 6.8 g cm⁻³

abc: 5.5442 11.7597 13.0028
angles: 107.55 90.00 103.63
Fractional coordinates of all 61 atoms:
W1 0.8464 0.6934 0.9627
W2 0.5372 0.0761 0.8844
W3 0.0018 0.0009 0.5019
W4 0.6156 0.2296 0.6527
W5 0.3089 0.6170 0.5782
W6 0.3864 0.7703 0.3463
W7 0.2304 0.4616 0.8079
W8 0.7709 0.5400 0.1915
W9 0.4613 0.9220 0.1134
W10 0.9243 0.8489 0.7322
W11 0.6926 0.3841 0.4247
W12 0.0768 0.1525 0.2690
W13 0.1532 0.3076 0.0385
O1 0.8437 0.1956 0.9613
O2 0.3097 0.1152 0.5763
O3 0.1911 0.8840 0.4222
O4 0.8858 0.7677 0.8452
O5 0.1900 0.3831 0.9223
O6 0.6961 0.8841 0.4216
O7 0.2707 0.0378 0.1939
O8 0.5816 0.6552 0.2709
O9 0.5393 0.5768 0.8835
O10 0.7670 0.0383 0.1944
O11 0.1159 0.2320 0.1549
O12 0.4993 0.0000 0.9998
O13 0.0335 0.5756 0.8826
O14 0.9980 0.5031 0.5014
>>>
Fourth, we have an extra hour in the school day. That equates to 23 extra days of school a year. High schools hated this at first. But when you think back to schools that are underperforming, why wouldn’t you want to keep the best principals and the best teachers in front of our neediest children for an extra hour a school day? That additional hour has been beneficial in turning around schools.
Finally, we can’t do this work without partnerships. We have volunteers. Teacher Town donated $3.5 million a year for three years to help us sustain those strategies. Funds from SIG (School Improvement Grants from the U.S. Department of Education) supplement our signing and retention bonuses, extended-day compensation and coaches. We’ve also been able to buy some different programs specific to schools struggling with literacy and math.
As the iZone continues to expand, how can the work be sustained?
When we first took these schools, they were underperforming and in critical care. Many are no longer in critical care, and we need to treat them like they’re in an (intensive care unit). That requires a lifestyle change. We have stabilized some of these schools. We came and made the buildings pretty, we hired great teachers, we have a lot of energy. We started in single-digit test scores, but we’re still not in the top 25 percent. And what happens when we move into that 40th percentile? Now we need to move to the 60th and 70th, and that requires a different kind of skill set. If we are in a continuous improvement mindset, we’re happy about our successes, but we’re still not where we need to be. We can’t become complacent. Until we’re in the 99th percentile, we got work to do. And that’s what I have to continue to say and I can’t do it without the team.
What about the rationale behind the signing and retention bonuses, and the challenge of getting good teachers to work at low-performing schools?
This work is so hard because our students are sometimes four grade levels below where they should be. Getting people to come to schools where they presume cultures are bad, students are failing, that’s already the perception. We’ve got to work 10 hours a day just to keep up.

It’s going to get better. For the first time next year, every student that enters the iZone in kindergarten is going to matriculate into another iZone school until the twelfth grade, so our lift will not be as heavy every single year.
We’ve got to change our branding of the iZone accordingly. We’re no longer just taking underperforming schools. We’re also making sure that all of our students are reading on grade level and above. We’re going to be Shelby County Schools’ new optional schools. So we have to make sure that we change that we’re not just a “fix-it school,” but we are a school that can take students to the 25th century.
How do you manage to energize and refuel your teams considering the mental and physical energy it takes day in and day out from iZone teachers and principals?
I talk to principals about hiring the right #2, #3 and #4 because you cannot do this work by yourself. And to realize that this is not a mistake-free zone. Sometimes, failure is how we learn and grow. For us to continue the momentum we have, we have to understand that they don’t have to know it all. We have to feel comfortable enough about what we don’t know to ask our colleagues. We all have this mask of “I just got to be perfect.” That’s not realistic. My hair is white! That was a peroxide mistake. Now I kind of like it though!
Calculated crystals, as found in the file
-- begin --
Er2Se3O12, relaxed, DFT PBE; energy of formation from the pure elements = -1.668 eV/atom; energy above the most stable polymorph in this dataset = 0.102 eV/atom; volume = 283 Å³/f.u.
1.0
3.687 6.290 0.000
-3.687 6.290 0.000
0.000 1.952 6.096
O Se Er
12 3 2
Cartesian
-2.062 7.168 1.079
2.388 8.510 3.622
1.029 10.776 3.219
2.237 10.667 6.091
1.662 9.619 1.040
1.662 4.914 5.056
1.029 3.757 2.877
-2.062 7.366 5.017
2.237 3.866 0.005
-0.111 5.228 0.808
-0.111 9.306 5.288
2.388 6.023 2.474
-1.114 6.290 0.000
1.003 9.087 2.979
1.003 5.446 3.117
0.495 2.870 0.967
0.495 11.663 5.129

~~~~~

Record 1
A geometry-optimized TiP4O12 structure, computed with PBE.

Unit cell a=12.9959 b=8.3318 c=9.3034 alpha=90.00 beta=90.00 gamma=90.00
Space group Pbcn (No. 60)
Asymmetric unit:
Ti  0.0000  0.1519  0.2500 x4
P  0.1473  0.3188  0.0061 x8
P  0.1483  0.0371  0.5177 x8
O  0.0694  0.0241  0.6367 x8
O  0.0733  0.2992  0.1346 x8
O  0.1156  0.1345  0.3879 x8
O  0.1176  0.4118  0.8797 x8
O  0.1828  0.1363  0.9649 x8
O  0.2482  0.1167  0.5847 x8

Results
E above lowest polymorph, eV per atom: 0.000

Record 2
A geometry-optimized LiCuPO4 structure, computed with PBE.

Unit cell a=4.8944 b=9.7627 c=7.4330 alpha=90.00 beta=98.41 gamma=90.00
Space group P2_1 (No. 4)
Asymmetric unit:
Li  0.1491  0.0000  0.2471 x2
Li  0.2003  0.0527  0.7831 x2
Cu  0.3711  0.7428  0.9400 x2
Cu  0.4128  0.4056  0.4595 x2
P  0.2678  0.6455  0.5543 x2
P  0.2710  0.4417  0.0448 x2
O  0.0441  0.9524  0.9820 x2
O  0.0943  0.5366  0.4299 x2
O  0.1384  0.6591  0.7332 x2
O  0.2824  0.7842  0.4551 x2
O  0.3837  0.3641  0.8880 x2
O  0.3930  0.3456  0.2110 x2
O  0.4094  0.5830  0.0943 x2
O  0.4431  0.0756  0.4076 x2

Results
E above lowest polymorph, eV per atom: 0.065

Record 3
A geometry-optimized LuSnRh2 structure, computed with PBE.

Unit cell a=6.5820 b=6.5820 c=6.5820 alpha=90.00 beta=90.00 gamma=90.00
Space group Fm-3m (No. 225)
Asymmetric unit:
Lu  0.0000  0.0000  0.0000 x4
Sn  0.0000  0.0000  0.5000 x4
Rh  0.2500  0.2500  0.2500 x8

Record 4
A geometry-optimized BaCuO2 structure, computed with PBE.

Unit cell a=5.7571 b=11.7596 c=3.7729 alpha=90.00 beta=90.00 gamma=90.00
Space group Pbam (No. 55)
Asymmetric unit:
Ba  0.0008  0.1376  0.0000 x4
Cu  0.0004  0.3765  0.5000 x4
O  0.2290  0.5001  0.5000 x4
O  0.2495  0.7501  0.5000 x4

Number 1: calculated total energy -7.49 eV per atom, calculated formation energy -2.7444 eV/atom. Number 2: calculated total energy -6.20 eV per atom, calculated formation energy -2.1317 eV/atom. Number 3: calculated total energy -6.67 eV per atom, calculated formation energy -0.8563 eV/atom. Number 4: calculated total energy -5.52 eV per atom, calculated formation energy -1.8869 eV/atom.
-- stop --
Teacher and principal turnover is a huge struggle in urban education. How do you address that in the iZone?
We did a survey two years ago and asked teachers why did you come to work in the iZone, and why did you stay? The overwhelming answer was support. I get individualized support, I get differentiated support. It’s not cookie-cutter support. The district isn’t mandating purchasing something from a sample of students that won’t work with my students. So I think that the empowerment piece is principals listening to teachers.
"There are no unteachable kids."
We refuse to put an ineffective person or the wrong person in front of our kids. Because research says: one year that a child has an ineffective teacher, it takes two years for them to catch up. Two years in a row with an ineffective teacher? It takes four. Three years in a row and you never catch up. People will tell you, “Yes, I want to work with those kids! And yes, I want to do extra!” But if we find out you’re not doing what’s best for kids in the iZone, you cannot stay because what has happened with our kids or at any school deemed underperforming is not that child’s fault. That’s a “grown folks” problem. That’s our fault that a child did not learn. There are no unteachable kids. I just haven’t found out how to teach you yet. Every child is teachable. That’s what I stand on.
Why do you think schools in traditional district settings struggle to turn themselves around when they realize that they’ve sunk to a low point?
Traditional schools are sometimes not meeting the needs because they just don’t have the funds to allocate the resources. Everybody can’t apply for a SIG grant. You got to be in the bottom 5 percent first. So, I mean, it’s almost like you got to fail before you can even get some money.
In December, researchers at Vanderbilt University released a study on school turnaround work in Tennessee showing that iZone schools have had sizeable positive effects on student test scores, while the ASD’s cumulative effects are marginal. Can you speak more to the results of the study?
We’re not against the ASD. People make it look like the ASD versus iZone. It’s not that at all. It’s our responsibility as citizens in Memphis to help every single child be successful. There wouldn’t be an iZone without the ASD. The ASD helped us realize that what we thought or what was perceived that we were doing right, we were not. So I’m thankful. We’re going to be in collaboration because there were 69 schools on the original state priority list. Every school can’t be iZone. There’s no way we could sustain that. So since the Vanderbilt study, I’ve already met with and talked with the ASD on two separate occasions around some collaboration, around some things we’re going to be doing to support each other.
"If they come to the school angry and mad, they’re not mad at you. They’re mad about some things that have happened that they couldn’t control"
Culturally, I think there were some challenges that the ASD had and didn’t realize. Memphis is very different from anywhere else you’ll go. A lot of us are native Memphians. With the ASD, most of their executive cabinet and even people who led schools, they were from outside of our city. And so the barriers of mistrust and the barriers of not having relationships with the community on the front end has been hard. I can guarantee you: Although I have great principals and teachers, it would not have happened without that strong trust and relationship-building on the front end.
In the iZone, we’re very cognizant of the cultural narrative of every single school that we’ve taken. We understand the barriers of many of our parents. So many single parents. If they come to the school angry and mad, they’re not mad at you. They’re mad about some things that have happened that they couldn’t control. Sometimes they just want somebody to listen.
What does the future hold for the iZone and the iZone model?
We’re not where we need to be. Until kids can read on grade level, until you can master every standard, until you can hit a 23 comfortably on the ACT, our work is not done. Check us out in a few years when we’ve had our babies from K-12 long enough that every ninth-grader is ready. Because ninth grade is the biggest grade where I lose kids. They get stuck and they just stop. That’s when you’re really going to see whether we’ve done our jobs. I want to be in the top 25 percent. I don’t want to have successful schools in a network. I want to have a network of successful schools.
On a personal level, how and why did you get into school turnaround? What propelled you into this work?
### Calculated crystals, as found in the file
# 1
Entry from the Materials Project: crystalline Mg6SnSb at its relaxed geometry (PBE-GGA).

Results
density	3.4	g/cm³
offset from the most stable computed form	20	meV per atom
DFT formation energy	-89	meV per atom

```
16
Lattice="5.262 0.000 0.000 0.000 6.522 0.000 0.000 0.000 11.000" Properties=species:S:1:pos:R:3 pbc="T T T"
Mg 0.000 4.890 0.921
Mg 0.000 1.633 0.921
Mg 2.631 4.889 10.090
Mg 2.631 1.633 10.090
Mg 2.631 3.261 1.827
Mg 2.631 3.261 7.330
Mg 0.000 1.629 6.421
Mg 0.000 4.894 6.421
Mg 2.631 1.628 4.590
Mg 2.631 4.895 4.590
Mg 2.631 0.000 7.327
Mg 2.631 0.000 1.830
Sn 0.000 3.261 3.661
Sn 0.000 0.000 9.161
Sb 0.000 3.261 9.161
Sb 0.000 0.000 3.661
```



# 2
Entry from the Materials Project: crystalline Mg6SnSb at its relaxed geometry (PBE-GGA).

Results
density	3.4	g/cm³
offset from the most stable computed form	0	meV per atom
DFT formation energy	-109	meV per atom

```
16
Lattice="-1.501 -4.515 2.375 4.702 0.491 3.905 -6.696 6.067 7.300" Properties=species:S:1:pos:R:3 pbc="T T T"
Mg 0.573 0.670 1.636
Mg 2.921 0.915 3.585
Mg -2.202 1.996 2.401
Mg 0.017 0.607 7.117
Mg -2.327 0.362 5.171
Mg -1.913 -1.204 2.454
Mg -0.423 3.949 7.239
Mg -2.778 3.703 5.283
Mg -3.199 5.275 8.004
Mg -5.682 3.395 8.815
Mg -3.323 3.641 10.773
Mg -2.909 2.074 8.057
Sn -0.035 2.408 4.554
Sn -5.734 5.196 6.252
Sb 0.678 -1.176 4.146
Sb -5.021 1.612 5.844
```



# 3
Entry from the Materials Project: crystalline SrMg2Sb2 at its relaxed geometry (PBE-GGA).

Results
density	4.1	g/cm³
SG	P-3m1
DFT formation energy	-828	meV per atom

```
5
Lattice="-0.003 4.044 -2.501 1.031 0.076 4.641 7.637 -1.033 -1.680" Properties=species:S:1:pos:R:3 pbc="T T T"
Sr 0.000 0.000 0.000
Mg 5.136 2.072 -1.175
Mg 3.529 1.014 1.635
Sb 6.367 0.630 1.011
Sb 2.298 2.456 -0.551
```



# 4
Entry from the Materials Project: crystalline Mg6TiSb at its relaxed geometry (PBE-GGA).

Results
density	3.0	g/cm³
offset from the most stable computed form	17	meV per atom
DFT formation energy	-17	meV per atom

```
16
Lattice="5.264 0.000 0.000 0.000 6.003 0.000 0.000 0.000 11.045" Properties=species:S:1:pos:R:3 pbc="T T T"
Mg 0.000 1.489 4.602
Mg 0.000 4.514 4.602
Mg 2.632 4.551 0.915
Mg 2.632 1.452 0.915
Mg 2.632 0.000 3.642
Mg 2.632 3.001 3.706
Mg 0.000 4.491 10.125
Mg 0.000 1.512 10.125
Mg 2.632 1.550 6.437
Mg 2.632 4.453 6.437
Mg 2.632 3.001 9.164
Mg 2.632 0.000 9.229
Ti 0.000 0.000 1.858
Ti 0.000 3.001 7.380
Sb 0.000 3.001 1.848
Sb 0.000 0.000 7.371
```

* * * * *

No. 1
MnSiO3: relaxed, r²SCAN.

## Properties
Its space group is P2_1/c, No. 14. The formation enthalpy at 0 K comes out at -2.642 eV/atom. For the calculated volume, the calculation gives 11.4 Å³ per atom.

Cell: 9.5924 9.1845 5.3206 Å, 90.00 102.99 90.00°
Positions (direct):
Mn  0.2477  0.0153  0.4792
Mn  0.2477  0.4847  0.9792
Mn  0.2486  0.6512  0.4823
Mn  0.2486  0.8488  0.9823
Mn  0.7514  0.1512  0.0177
Mn  0.7514  0.3488  0.5177
Mn  0.7523  0.5153  0.0208
Mn  0.7523  0.9847  0.5208
Si  0.0506  0.1646  0.8019
I was principal in Memphis Orange Mound community for five years. It was a tough situation but the most rewarding experience I had as a principal. Let me tell you a story. I gave some students who performed well on their TCAPs this big celebration. And so during the celebration, when I was calling out, “You made Advanced!,” I started to cry. The students got upset and said, “Why are you crying?” and I said, “I’m so happy.” And they said, “But you’re crying.” You see, these were students whose lives were so hard, so challenging, that they had never seen a person cry tears of joy! They only saw tears when you were hurt, when something bad had happened. It made me realize that these kids, their lives, when they come to school with the challenges and they fussin’, it’s not really them. It’s all they’ve ever known.
That’s why I tell our team that school, with the kids we work with, has got to be a home away from home. It’s got to be! You might say it’s not personal. Yes, it is. And if it’s not personal, you won’t stay.
EDITOR’S NOTE: Periodically, Chalkbeat conducts a Q&A interview with a different leader, innovator, influential thinker or hero across Tennessee’s education community. We invite our readers to email Chalkbeat your suggestions for future subjects to maldrich@chalkbeat.org.